Universal Credit may or may not be “the most radical overhaul of our welfare system since its inception”, but there’s no disputing the scale of the reforms. If all goes according to plan, 7 million individuals and families will be receiving the benefit by 2022. Spending on the “legacy” benefits UC is replacing currently totals around £70 billion a year.
Most brand new claimants must wait at least six weeks before receiving payment, an aspect of UC that has been criticised by many MPs. The Work and Pensions Committee have called this a ‘fundamental flaw’ and called for the wait to be cut to four weeks.
But is six weeks an accurate reflection of how long most people have to wait for their first payment of Universal Credit?
A “baked-in” six week wait
Local authorities, housing providers, charities and pressure groups have voiced growing concerns about the impact Universal Credit is having in areas where the “Full Service” – the digital version of UC, available for all claimant groups – has been introduced. The most immediate concern is the length of time people are having to wait before their first payment of UC. The Work and Pensions Committee has described the “baked-in” six week wait for UC as a major obstacle to the success of the policy, pointing to compelling evidence linking it to an increase in acute financial difficulty. The Committee recommends reducing the standard waiting time for a claimant’s first UC payment to one month.
The Government has resisted calls to “pause” the roll-out of Universal Credit, pointing to statistics showing that 89% of people making new UC claims receive some payment, and 81% receive their full payment, on time. It has also revamped procedures to ensure that advance payments to help tide people over pending their first payment of UC are more readily available, and is moving the UC helpline to a Freephone number.
Getting on to Universal Credit
Data records, kept here for reference
'''
Na2Cr2H4O9: optimized geometry, PBE+U.

Results
* electronic total energy: -5.750 eV per atom

extended XYZ file:
```
68
Lattice="-8.2707 -2.0724 6.8575 3.9447 -2.7457 3.9279 2.7455 10.8282 6.5837" Properties=species:S:1:pos:R:3 pbc="T T T"
O 4.6933 6.7341 10.2524
O -2.8390 -1.6532 8.6228
O -2.7779 1.3316 8.0029
O -1.5309 0.4354 5.1393
O 1.2204 -1.3948 3.5999
H 0.8591 1.3448 9.4942
H 1.7608 3.5629 11.5852
Na -4.3923 6.4107 10.6189
O -4.9435 6.3626 13.0575
O -4.5609 -0.2948 5.6964
O -1.0811 7.8359 12.3432
H 0.7520 7.3835 11.8960
O -5.1799 -0.2089 10.6800
O -4.4516 -4.1020 10.4318
O 1.2650 6.7762 5.8643
O -6.0133 -2.1081 8.1216
O 1.9854 3.6612 5.6768
O 0.4736 2.4551 3.7111
H 2.2460 7.3508 12.3295
Na -1.1906 -1.4110 3.5876
Cr 1.8244 8.0588 6.6990
O 1.4000 0.9227 5.7065
O -2.6487 -1.1410 12.0671
O 2.4158 -2.3801 5.8221
H -2.6609 5.0127 13.2366
Na 1.9736 -0.6105 7.4452
Na -4.7426 -0.0767 8.2590
Cr -1.2243 -1.5022 8.8621
O -3.0622 3.9831 7.9380
O -0.8805 -0.2737 9.8755
Cr -1.0269 4.4201 10.7681
O 1.7775 7.7934 8.3160
Na -0.2782 4.8660 5.7907
O -0.8677 9.1753 10.0372
H -2.1722 0.3939 5.8747
O 1.6691 7.4258 11.5389
O -3.2980 8.5652 10.9681
O -1.3120 6.5547 7.2755
Cr -2.0287 2.7599 8.2473
H 1.7762 -0.3438 2.0664
O -0.7117 2.8979 7.2804
H -0.6598 0.5614 5.5753
O 4.0083 2.6601 7.3363
Cr 1.7425 2.1653 4.6972
O -3.6148 2.4242 12.3654
H -6.7014 -2.0610 7.4233
O -5.1388 4.0539 10.2632
O 3.2282 5.1874 7.6824
O 1.5293 1.4478 8.7883
O -1.4921 2.8687 9.9728
O -2.3878 5.2360 11.1712
Na -1.4181 7.1635 14.6340
Cr 2.3564 -2.4176 4.1881
O -0.0922 5.2941 9.7499
H -5.9328 3.7901 10.7712
O -2.4081 4.9838 14.1854
O -0.4293 -1.3027 7.4559
Cr -1.7692 8.9709 11.3836
H -3.2083 4.6641 14.6451
Na -1.5779 1.0752 11.8069
O -0.1907 4.0220 12.1130
Na 2.3020 5.8713 9.8233
H -4.3938 3.6290 10.7372
H -3.2989 -1.1262 11.3336
H -7.1501 1.4929 8.9419
H 1.0647 1.9430 8.0817
H -0.7056 6.5290 8.0453
Cr 3.5125 4.0181 6.5811
```

=====

Na4Cr2H6O11: optimized geometry, PBE+U.

Results
* electronic total energy: -5.520 eV per atom

extended XYZ file:
```
46
Lattice="-3.4398 -4.3648 0.0000 -3.4398 4.3648 0.0000 3.4398 0.0000 -17.8688" Properties=species:S:1:pos:R:3 pbc="T T T"
H -0.8386 -3.7413 -11.9581
H 0.8813 -1.5589 -14.8450
O -3.2597 3.1739 -2.0083
Cr -3.7213 -2.2859 -6.7417
Na -2.4341 0.3793 -9.0627
Na 1.0057 -0.3793 -8.8061
O -0.4643 -1.2347 -5.2369
O 1.2556 -0.9477 -14.1713
O -5.6126 1.1924 -1.1636
O 0.1801 -3.1739 -15.8604
Na -0.3860 -0.7578 -12.3213
H -1.1817 -2.3921 -8.1725
O -0.5499 0.8813 -16.0071
H -0.8386 -0.6235 -5.9107
O -2.1842 0.9477 -3.6975
H 0.5382 0.2097 -17.1069
H -1.4478 2.9125 -13.7533
O -2.2862 0.0000 0.0000
Na 1.3339 1.4246 -14.4818
H -2.9016 -0.2097 -0.7619
Na -0.7142 2.5617 -17.7405
O -0.5663 -2.1824 -8.9344
H -3.1677 0.7301 -13.0498
O -3.7166 -1.7196 -5.1840
O -0.2768 1.7197 -12.6847
O -3.8927 -0.9900 -7.7707
Cr -0.2815 2.2859 -11.1271
H -1.4478 1.4524 -4.1155
Na -3.8258 0.7578 -5.5475
O -3.9897 -0.8813 -1.8616
O -5.4365 0.4628 -3.7504
H -1.1817 -1.9727 -9.6962
'''
The chart below – from a DWP presentation – sets out the “claimant journey” in Universal Credit Full Service areas, from the initial steps the claimant has to take through to when their online UC account is fully up and running and their award is in payment. The process is also explained in a DWP video on YouTube.
(You can view the original version of this claimant journey flow-chart on page 7 of the DWP Universal Credit -Full Service presentation)
A person must complete a number of steps for their UC claim to be accepted.
Having found out how to claim Universal Credit, the person needs to create an online account, complete their registration and enter a verification code (sent by email) within 7 days. They then have to enter details of their and their family’s circumstances including information on things such as housing costs, health conditions, savings and investments, work, education and caring responsibilities; provide bank, building society or credit union account details, accept their “high level” responsibilities for their claimant commitment; and make a formal legal declaration that the information they have provided is correct.
Inserted here: materials data:
[1]
Density functional theory data (GGA+U) for crystalline LiMnPH2O5 at its relaxed geometry.

Output
The calculation puts the energy of formation at -21.8 eV per formula unit. As for the distance to the lowest polymorph of the same formula: 22.3 meV/atom. For the total magnetic moment, the calculation gives 40.00 μB/cell.

a = 8.243 Å, b = 10.519 Å, c = 10.701 Å
α = 95.65°, β = 107.90°, γ = 108.32°
Element x y z (fractional)
Li (0.000, 0.000, 0.000)
Li (0.004, 0.002, 0.494)
Li (0.090, 0.583, 0.381)
Li (0.482, 0.502, 0.234)
Li (0.488, 0.676, 0.848)
Li (0.585, 0.109, 0.635)
Li (0.592, 0.097, 0.134)
Li (0.889, 0.576, 0.701)
Mn (0.237, 0.332, 0.420)
Mn (0.238, 0.835, 0.172)
Mn (0.239, 0.340, 0.916)
Mn (0.241, 0.841, 0.669)
Mn (0.736, 0.335, 0.421)
Mn (0.736, 0.832, 0.171)
Mn (0.739, 0.842, 0.664)
Mn (0.742, 0.342, 0.918)
P (0.151, 0.501, 0.165)
P (0.152, 0.507, 0.663)
P (0.320, 0.175, 0.172)
P (0.323, 0.175, 0.673)
P (0.647, 0.002, 0.412)
P (0.649, 0.001, 0.913)
P (0.823, 0.673, 0.425)
P (0.824, 0.680, 0.921)
H (0.077, 0.876, 0.357)
H (0.080, 0.880, 0.860)
H (0.134, 0.018, 0.293)
H (0.141, 0.021, 0.799)
H (0.344, 0.663, 0.045)
H (0.368, 0.666, 0.542)
H (0.397, 0.800, 0.976)
H (0.420, 0.800, 0.469)
H (0.557, 0.375, 0.613)
H (0.577, 0.375, 0.106)
H (0.608, 0.512, 0.544)
H (0.632, 0.514, 0.041)
H (0.869, 0.168, 0.293)
H (0.872, 0.171, 0.798)
H (0.918, 0.300, 0.218)
H (0.921, 0.305, 0.725)
O (0.011, 0.805, 0.982)
O (0.013, 0.794, 0.469)
O (0.057, 0.915, 0.274)
O (0.067, 0.918, 0.777)
O (0.133, 0.638, 0.212)
O (0.141, 0.649, 0.706)
O (0.189, 0.192, 0.041)
O (0.189, 0.197, 0.546)
O (0.215, 0.509, 0.539)
O (0.234, 0.167, 0.283)
O (0.246, 0.174, 0.787)
O (0.259, 0.510, 0.066)
O (0.273, 0.470, 0.294)
O (0.290, 0.483, 0.784)
O (0.333, 0.032, 0.629)
O (0.349, 0.038, 0.138)
O (0.411, 0.766, 0.062)
O (0.421, 0.768, 0.557)
O (0.455, 0.888, 0.364)
O (0.464, 0.874, 0.858)
O (0.511, 0.297, 0.223)
O (0.524, 0.279, 0.716)
O (0.554, 0.409, 0.526)
O (0.565, 0.411, 0.022)
O (0.624, 0.134, 0.961)
O (0.639, 0.141, 0.467)
O (0.683, 0.691, 0.300)
O (0.700, 0.709, 0.793)
O (0.718, 0.667, 0.020)
O (0.725, 0.012, 0.295)
O (0.732, 0.016, 0.799)
O (0.757, 0.666, 0.547)
O (0.779, 0.970, 0.036)
O (0.782, 0.969, 0.530)
O (0.848, 0.535, 0.386)
O (0.852, 0.547, 0.877)
O (0.911, 0.270, 0.305)
O (0.924, 0.273, 0.812)
O (0.952, 0.402, 0.623)
O (0.959, 0.386, 0.107)

---

[2]
Density functional theory data (GGA+U) for crystalline Li3MnPCO7 at its relaxed geometry.

Output
The calculation puts the energy of formation at -31.3 eV per formula unit. As for the distance to the lowest polymorph of the same formula: 16.0 meV/atom. For the total magnetic moment, the calculation gives 20.01 μB/cell.

a = 8.603 Å, b = 6.483 Å, c = 9.847 Å
α = 90.00°, β = 94.59°, γ = 90.00°
Element x y z (fractional)
Li (0.103, 0.249, 0.113)
Li (0.103, 0.251, 0.613)
Li (0.286, 0.012, 0.883)
Li (0.286, 0.488, 0.383)
Li (0.353, 0.745, 0.610)
Li (0.353, 0.755, 0.110)
Li (0.647, 0.245, 0.890)
Li (0.647, 0.255, 0.390)
If the person fails to complete these steps within 28 days their account is deleted.
Between two parts of the page: crystal structures
A plane-wave DFT calculation with GGA-PBE was carried out for BaMg6Ti after structural relaxation.

Unit cell a=5.2699 b=7.0399 c=11.4142 alpha=90.00 beta=90.00 gamma=90.00
Positions (direct):
Ba  0.5000  0.5000  0.8353
Ba  0.5000  0.0000  0.3353
Mg  0.5000  0.2500  0.0838
Mg  0.5000  0.7500  0.0838
Mg  0.0000  0.2201  0.9151
Mg  0.0000  0.7799  0.9151
Mg  0.0000  0.5000  0.1717
Mg  0.0000  0.5000  0.6467
Mg  0.5000  0.7500  0.5838
Mg  0.5000  0.2500  0.5838
Mg  0.0000  0.7201  0.4151
Mg  0.0000  0.2799  0.4151
Mg  0.0000  0.0000  0.6717
Mg  0.0000  0.0000  0.1467
Ti  0.5000  0.5000  0.3485
Ti  0.5000  0.0000  0.8485

Density = 2.60 Mg/m³
DFT total energy = -2.18 eV/atom

* * * * *

The following is a PBE calculation of crystalline LiPr2Rh at its relaxed geometry, from the Materials Project.

The structure in POSCAR format:
```
LiPr2Rh
1.0
1.5395 1.6912 4.6153
-3.3015 2.5075 3.0567
-1.7594 -2.2509 4.2860
Li Pr Rh
1 2 1
Cartesian
-1.7607 0.9739 5.9790
-0.8804 0.4870 2.9895
-2.6411 1.4609 8.9685
0.0000 0.0000 0.0000
```

Calculated values
- V (Å³/atom) = 24.2
- space group = Fm-3m, No. 225
- VASP energy (eV/cell) = -20.1
- total magnetization (μB per cell) = 0.000
- ΔE_f (meV/atom) = -313
- crystal system = cubic

***

The following is a PBE calculation of crystalline LiPr2Ru at its relaxed geometry, from the Materials Project.

The structure in POSCAR format:
```
LiPr2Ru
1.0
3.3869 -2.5745 2.8167
-1.1438 -1.3138 4.7958
-0.8500 -4.8928 1.1712
Li Pr Ru
1 2 1
Cartesian
0.6966 -4.3905 4.3918
0.3483 -2.1953 2.1959
1.0449 -6.5858 6.5877
0.0000 0.0000 0.0000
```

Calculated values
- V (Å³/atom) = 23.5
- space group = Fm-3m, No. 225
- VASP energy (eV/cell) = -21.2
- total magnetization (μB per cell) = 0.008
- ΔE_f (meV/atom) = -114
- crystal system = cubic

***

The following is a PBE calculation of crystalline LiPrS2 at its relaxed geometry, from the Materials Project.

The structure in POSCAR format:
```
LiPrS2
1.0
-6.7147 -1.4788 1.3414
2.1918 -3.6460 -5.5656
-1.1169 -5.5618 0.3049
Li Pr S
2 2 4
Cartesian
-1.1402 -4.9868 -2.3102
-2.8277 -1.6594 -0.7209
0.4868 -8.2752 -3.8523
-5.5641 -3.8861 1.1209
-3.4208 -4.3991 -0.5298
-5.6283 -6.9780 -2.6284
-2.7910 -4.7516 -4.5480
-1.7162 -7.7094 -2.1265
```

Calculated values
- V (Å³/atom) = 23.2
- space group = P1, No. 1
- VASP energy (eV/cell) = -43.9
- total magnetization (μB per cell) = 0.000
- ΔE_f (meV/atom) = -1995
- crystal system = triclinic

***

The following is a PBE calculation of crystalline LiPrS2 at its relaxed geometry, from the Materials Project.

The structure in POSCAR format:
```
LiPrS2
1.0
-7.7556 0.0431 -2.1007
-9.0492 4.9027 2.7802
-4.1345 5.6526 0.0255
Li Pr S
2 2 4
Cartesian
-10.6278 8.0790 0.8740
-8.0560 5.6978 -1.0090
-11.9121 5.7133 -2.0597
-14.4925 8.1542 -0.1407
-14.3593 5.3629 -0.6753
-10.4446 5.3120 0.3413
-13.0284 7.7766 2.2671
-7.8811 2.8597 -1.5315
```

Calculated values
- V (Å³/atom) = 23.2
- space group = P1, No. 1
- VASP energy (eV/cell) = -43.9
It is only at this point – indicated by the chequered flag in the flowchart – that the person’s Universal Credit claim begins. If the person is paid “on time”, they will then receive their first UC payment around 6 weeks later (or 5 weeks, if they do not have to serve “waiting days” at the beginning of their claim).
Known unknowns
Looking at the end-to-end journey for new Universal Credit claimants raises a number of questions. Are the practicalities for making a claim – including having access to an internet enabled device and a measure of digital skills – discouraging some people from starting the process? For those who do embark on the claimant journey, how long is it taking them to complete the necessary steps before their entitlement begins? How many people have their account deleted for failing to make their declaration within 28 days, and what happens to them?
Organisations submitting evidence to the Work and Pensions Committee reported that some claimants were struggling with the online application process for UC, but it’s not clear how many people are encountering problems and how long it is taking for them to be resolved.
It seems likely however that for some claimants, the wait between their first steps to applying for Universal Credit and their first payment may be considerably longer than 6 weeks.
Further information on how claims for Universal Credit are made, and on the impact of the wait before first payments, can be found in Commons Library briefing CBP-8096, Universal Credit roll-out: Autumn/Winter 2017.
Picture credit: calculator and money by Images Money. Creative Commons Attribution 2.0 Generic (CC by 2.0)